-- Job --
Now find "0.073" and "0.529 0.298" in the calculation results below, and duplicate these two lines and those between.
-- Input --
____________
Diffraction record for Mg3Co3As4O16. The powder diffractogram is theoretical, not measured: it uses a DFT-relaxed cell (PBE+U, the Materials Project) and a wavelength of 1.5418 Å.

Main lines, by intensity (10° ≤ 2θ ≤ 80°):
2θ = 27.0°, rel. 100; 2θ = 34.8°, rel. 67; 2θ = 30.0°, rel. 51; 2θ = 36.0°, rel. 44; 2θ = 24.0°, rel. 43; 2θ = 24.3°, rel. 40; 2θ = 12.8°, rel. 39; 2θ = 32.9°, rel. 30

Cell and atoms:
```
data_Mg3Co3As4O16
_chemical_formula_sum 'Mg6 Co6 As8 O32'
_symmetry_space_group_name_H-M 'P 1'
_symmetry_Int_Tables_number 1
_cell_length_a 8.676
_cell_length_b 5.160
_cell_length_c 16.050
_cell_angle_alpha 90.00
_cell_angle_beta 112.28
_cell_angle_gamma 90.00
loop_
_symmetry_equiv_pos_as_xyz
'x,y,z'
loop_
_atom_site_label
_atom_site_type_symbol
_atom_site_fract_x
_atom_site_fract_y
_atom_site_fract_z
_atom_site_occupancy
Mg1 Mg 0.000 0.000 0.000 1
Mg2 Mg 0.000 0.500 0.500 1
Mg3 Mg 0.312 0.046 0.288 1
Mg4 Mg 0.312 0.454 0.788 1
Mg5 Mg 0.688 0.546 0.212 1
Mg6 Mg 0.688 0.954 0.712 1
Co1 Co 0.203 0.510 0.375 1
Co2 Co 0.203 0.990 0.875 1
Co3 Co 0.500 0.000 0.500 1
Co4 Co 0.500 0.500 0.000 1
Co5 Co 0.797 0.010 0.125 1
Co6 Co 0.797 0.490 0.625 1
As1 As 0.037 0.008 0.648 1
As2 As 0.037 0.492 0.148 1
As3 As 0.418 0.503 0.603 1
As4 As 0.418 0.997 0.103 1
As5 As 0.582 0.003 0.897 1
As6 As 0.582 0.497 0.397 1
As7 As 0.963 0.508 0.852 1
As8 As 0.963 0.992 0.352 1
O1 O 0.022 0.676 0.632 1
O2 O 0.022 0.824 0.132 1
O3 O 0.088 0.176 0.573 1
O4 O 0.088 0.324 0.073 1
O5 O 0.154 0.606 0.848 1
O6 O 0.154 0.894 0.348 1
O7 O 0.190 0.096 0.753 1
O8 O 0.190 0.404 0.253 1
O9 O 0.244 0.556 0.508 1
O10 O 0.244 0.944 0.008 1
O11 O 0.400 0.591 0.700 1
O12 O 0.400 0.909 0.200 1
O13 O 0.429 0.214 0.908 1
O14 O 0.429 0.286 0.408 1
O15 O 0.489 0.704 0.893 1
O16 O 0.489 0.796 0.393 1
O17 O 0.511 0.204 0.607 1
O18 O 0.511 0.296 0.107 1
O19 O 0.571 0.714 0.592 1
O20 O 0.571 0.786 0.092 1
O21 O 0.600 0.091 0.800 1
O22 O 0.600 0.409 0.300 1
O23 O 0.756 0.056 0.992 1
O24 O 0.756 0.444 0.492 1
O25 O 0.810 0.596 0.747 1
O26 O 0.810 0.904 0.247 1
O27 O 0.846 0.106 0.652 1
O28 O 0.846 0.394 0.152 1
O29 O 0.912 0.676 0.927 1
O30 O 0.912 0.824 0.427 1
O31 O 0.978 0.176 0.868 1
O32 O 0.978 0.324 0.368 1
```

***

Diffraction record for NaCo2As3O10. The powder diffractogram is theoretical, not measured: it uses a DFT-relaxed cell (PBE+U, the Materials Project) and a wavelength of 1.5418 Å.

Main lines, by intensity (10° ≤ 2θ ≤ 80°):
2θ = 28.5°, rel. 100; 2θ = 31.3°, rel. 93; 2θ = 11.5°, rel. 88; 2θ = 27.3°, rel. 64; 2θ = 25.4°, rel. 51; 2θ = 21.6°, rel. 43; 2θ = 35.8°, rel. 41; 2θ = 31.5°, rel. 40

Cell and atoms:
```
data_NaCo2As3O10
_chemical_formula_sum 'Na2 Co4 As6 O20'
_symmetry_space_group_name_H-M 'P 1'
_symmetry_Int_Tables_number 1
_cell_length_a 6.967
_cell_length_b 7.898
_cell_length_c 8.836
_cell_angle_alpha 107.27
_cell_angle_beta 108.86
_cell_angle_gamma 100.66
loop_
_symmetry_equiv_pos_as_xyz
'x,y,z'
loop_
_atom_site_label
_atom_site_type_symbol
_atom_site_fract_x
_atom_site_fract_y
_atom_site_fract_z
_atom_site_occupancy
Na1 Na 0.246 0.195 0.049 1
Na2 Na 0.754 0.805 0.951 1
Co1 Co 0.048 0.851 0.363 1
Co2 Co 0.389 0.668 0.561 1
Co3 Co 0.611 0.332 0.439 1
Co4 Co 0.952 0.149 0.637 1
As1 As 0.046 0.245 0.334 1
As2 As 0.264 0.576 0.879 1
As3 As 0.486 0.124 0.707 1
As4 As 0.514 0.876 0.293 1
As5 As 0.736 0.424 0.121 1
As6 As 0.954 0.755 0.666 1
O1 O 0.021 0.018 0.225 1
O2 O 0.066 0.698 0.519 1
O3 O 0.102 0.723 0.861 1
O4 O 0.123 0.374 0.872 1
O5 O 0.226 0.100 0.584 1
O6 O 0.297 0.391 0.397 1
O7 O 0.344 0.787 0.374 1
O8 O 0.409 0.579 0.759 1
O9 O 0.471 0.702 0.090 1
O10 O 0.476 0.064 0.248 1
O11 O 0.524 0.936 0.752 1
O12 O 0.529 0.298 0.910 1
O13 O 0.591 0.421 0.241 1
O14 O 0.656 0.213 0.626 1
O15 O 0.703 0.609 0.603 1
O16 O 0.774 0.900 0.416 1
O17 O 0.877 0.626 0.128 1
O18 O 0.898 0.277 0.139 1
O19 O 0.934 0.302 0.481 1
O20 O 0.979 0.982 0.775 1
```

***
____________
-- Written answer --
O4 O 0.088 0.324 0.073 1
O5 O 0.154 0.606 0.848 1
O6 O 0.154 0.894 0.348 1
O7 O 0.190 0.096 0.753 1
O8 O 0.190 0.404 0.253 1
O9 O 0.244 0.556 0.508 1
O10 O 0.244 0.944 0.008 1
O11 O 0.400 0.591 0.700 1
O12 O 0.400 0.909 0.200 1
O13 O 0.429 0.214 0.908 1
O14 O 0.429 0.286 0.408 1
O15 O 0.489 0.704 0.893 1
O16 O 0.489 0.796 0.393 1
O17 O 0.511 0.204 0.607 1
O18 O 0.511 0.296 0.107 1
O19 O 0.571 0.714 0.592 1
O20 O 0.571 0.786 0.092 1
O21 O 0.600 0.091 0.800 1
O22 O 0.600 0.409 0.300 1
O23 O 0.756 0.056 0.992 1
O24 O 0.756 0.444 0.492 1
O25 O 0.810 0.596 0.747 1
O26 O 0.810 0.904 0.247 1
O27 O 0.846 0.106 0.652 1
O28 O 0.846 0.394 0.152 1
O29 O 0.912 0.676 0.927 1
O30 O 0.912 0.824 0.427 1
O31 O 0.978 0.176 0.868 1
O32 O 0.978 0.324 0.368 1
```

***

Diffraction record for NaCo2As3O10. The powder diffractogram is theoretical, not measured: it uses a DFT-relaxed cell (PBE+U, the Materials Project) and a wavelength of 1.5418 Å.

Main lines, by intensity (10° ≤ 2θ ≤ 80°):
2θ = 28.5°, rel. 100; 2θ = 31.3°, rel. 93; 2θ = 11.5°, rel. 88; 2θ = 27.3°, rel. 64; 2θ = 25.4°, rel. 51; 2θ = 21.6°, rel. 43; 2θ = 35.8°, rel. 41; 2θ = 31.5°, rel. 40

Cell and atoms:
```
data_NaCo2As3O10
_chemical_formula_sum 'Na2 Co4 As6 O20'
_symmetry_space_group_name_H-M 'P 1'
_symmetry_Int_Tables_number 1
_cell_length_a 6.967
_cell_length_b 7.898
_cell_length_c 8.836
_cell_angle_alpha 107.27
_cell_angle_beta 108.86
_cell_angle_gamma 100.66
loop_
_symmetry_equiv_pos_as_xyz
'x,y,z'
loop_
_atom_site_label
_atom_site_type_symbol
_atom_site_fract_x
_atom_site_fract_y
_atom_site_fract_z
_atom_site_occupancy
Na1 Na 0.246 0.195 0.049 1
Na2 Na 0.754 0.805 0.951 1
Co1 Co 0.048 0.851 0.363 1
Co2 Co 0.389 0.668 0.561 1
Co3 Co 0.611 0.332 0.439 1
Co4 Co 0.952 0.149 0.637 1
As1 As 0.046 0.245 0.334 1
As2 As 0.264 0.576 0.879 1
As3 As 0.486 0.124 0.707 1
As4 As 0.514 0.876 0.293 1
As5 As 0.736 0.424 0.121 1
As6 As 0.954 0.755 0.666 1
O1 O 0.021 0.018 0.225 1
O2 O 0.066 0.698 0.519 1
O3 O 0.102 0.723 0.861 1
O4 O 0.123 0.374 0.872 1
O5 O 0.226 0.100 0.584 1
O6 O 0.297 0.391 0.397 1
O7 O 0.344 0.787 0.374 1
O8 O 0.409 0.579 0.759 1
O9 O 0.471 0.702 0.090 1
O10 O 0.476 0.064 0.248 1
O11 O 0.524 0.936 0.752 1
O12 O 0.529 0.298 0.910 1